
So now I have to scroll through endless reviews of tv shows I don’t like and don’t watch to get to the ones I do like?

This is not an improvement.

The best/worst thing about Facebook is the ability to see how stupid some of these people, who we choose to put in some of our most important positions that affect so many people, really are.

John Blust, my state representaive (wooo!) is a fucking nutjob. He’s also too old or stupid to keep his facebook page private so go to fucking town, people.

These crystal structures were left in the text by mistake.
<<<
(1)
# Gd3H12Rh5, optimized geometry, DFT PBE
data_Gd3H12Rh5
_chemical_formula_sum 'Gd24 H96 Rh40'
_cell_length_a 11.645
_cell_length_b 11.645
_cell_length_c 11.645
_cell_angle_alpha 90.00
_cell_angle_beta 90.00
_cell_angle_gamma 90.00
_symmetry_space_group_name_H-M 'I a -3 d'
_symmetry_Int_Tables_number 230
_symmetry_space_group_name_Hall '-I 4bd 2c 3'
loop_
_atom_site_label
_atom_site_fract_x
_atom_site_fract_y
_atom_site_fract_z
Gd1 0.000 0.250 0.125
H1 0.035 0.052 0.638
Rh1 0.000 0.000 0.000
Rh2 0.000 0.250 0.375
# Spin magnetization, μB/cell: 170.6
# Final energy, eV/atom: -6.33

---

(2)
# BaBi3Os, optimized geometry, DFT PBE
data_BaBi3Os
_chemical_formula_sum 'Ba1 Bi3 Os1'
_cell_length_a 6.087
_cell_length_b 6.087
_cell_length_c 6.087
_cell_angle_alpha 90.00
_cell_angle_beta 90.00
_cell_angle_gamma 90.00
_symmetry_space_group_name_H-M 'P m -3 m'
_symmetry_Int_Tables_number 221
_symmetry_space_group_name_Hall '-P 4 2 3'
loop_
_atom_site_label
_atom_site_fract_x
_atom_site_fract_y
_atom_site_fract_z
Ba1 0.000 0.000 0.000
Bi1 0.000 0.000 0.500
Os1 0.500 0.500 0.500
# Relative energy among the computed polymorphs, meV per atom: 2096
# Spin magnetization, μB/cell: 0.0
# Energy relative to the elements, eV per atom: 2.366

---

(3)
# YMoOs2, optimized geometry, DFT PBE
data_YMoOs2
_chemical_formula_sum 'Y4 Mo4 Os8'
_cell_length_a 6.467
_cell_length_b 6.467
_cell_length_c 6.467
_cell_angle_alpha 90.00
_cell_angle_beta 90.00
_cell_angle_gamma 90.00
_symmetry_space_group_name_H-M 'F -4 3 m'
_symmetry_Int_Tables_number 216
_symmetry_space_group_name_Hall 'F -4 2 3'
loop_
_atom_site_label
_atom_site_fract_x
_atom_site_fract_y
_atom_site_fract_z
Y1 0.000 0.000 0.000
Mo1 0.250 0.250 0.250
Os1 0.000 0.000 0.500
Os2 0.250 0.250 0.750
# Relative energy among the computed polymorphs, meV per atom: 329
# Spin magnetization, μB/cell: 0.0
# Energy relative to the elements, eV per atom: 0.404

---

> Which value of spin magnetization does entry 1 give?

170.6 μB/cell

---

> Among the records above, which one has the highest spin magnetization?

Gd3H12Rh5

---

What did the third record say?
# YMoOs2, optimized geometry, DFT PBE
data_YMoOs2
_chemical_formula_sum 'Y4 Mo4 Os8'
_cell_length_a 6.467
_cell_length_b 6.467
_cell_length_c 6.467
_cell_angle_alpha 90.00
_cell_angle_beta 90.00
_cell_angle_gamma 90.00
_symmetry_space_group_name_H-M 'F -4 3 m'
_symmetry_Int_Tables_number 216
_symmetry_space_group_name_Hall 'F -4 2 3'
loop_
_atom_site_label
_atom_site_fract_x
_atom_site_fract_y
_atom_site_fract_z
Y1 0.000 0.000 0.000
Mo1 0.250 0.250 0.250
Os1 0.000 0.000 0.500
Os2 0.250 0.250 0.750
# Relative energy among the computed polymorphs, meV per atom: 329
# Spin magnetization, μB/cell: 0.0
# Energy relative to the elements, eV per atom: 0.404

---

> Number 2 is which compound?
>>>

Yeah, I admit to being pretty pessimistic about everything. It’s ironic that the national realization that social democratic principles are probably the right way to go comes right about the same time that the mechanisms for achieving those principles (fair districting, a liberal SCOTUS) are not coming back any time

It’s less that the party is dead and more than there is a systematic attempt to make it so that Likely Democratic voters cannot cast a vote.

Don’t mind him. He’s just pissed ACA wouldn’t pay for his calf implants.

Not that this is terribly important, but the monkey in the header image for this post is a Gelada, which is a really odd primate endemic to the highlands of Ethiopia.

The baboon species in Livingstone, Zambia, would be Chacma Baboon.

I expect this would be next season. I think this season ends with the wall coming down.

I believe they’ll be called “Chewy-rros”

When you say “Indians”, are you talking about the hundreds of distinct tribes and cultures that approached diplomacy and settlement in different ways? Or do you really think they’re all the same?

Misplaced data records:
┌──
Here is crystalline LiInFeO2 at its relaxed geometry from the Alexandria database. Energies are from GGA+U.

## Properties
**Electronic total energy**: -3.982 eV/atom

Geometry as CIF:
```
data_LiInFeO2
_chemical_formula_sum 'Li1 In1 Fe1 O2'
_symmetry_space_group_name_H-M 'P 4/m m m'
_symmetry_Int_Tables_number 123
_symmetry_space_group_name_Hall '-P 4 2'
_cell_length_a 3.955
_cell_length_b 3.955
_cell_length_c 3.933
_cell_angle_alpha 90.00
_cell_angle_beta 90.00
_cell_angle_gamma 90.00
loop_
_atom_site_label
_atom_site_type_symbol
_atom_site_fract_x
_atom_site_fract_y
_atom_site_fract_z
Li1 Li 0.000 0.000 0.000
In1 In 0.500 0.500 0.500
Fe1 Fe 0.000 0.000 0.500
O1 O 0.000 0.500 0.000
```

* * * * *

Compound: Na2TaHgS
Source: Alexandria via LeMat-Bulk
Functional: PBE-GGA
Structure: relaxed

Structure (CIF):
```
data_Na2TaHgS
_chemical_formula_sum 'Na2 Ta1 Hg1 S1'
_symmetry_space_group_name_H-M 'P 1'
_symmetry_Int_Tables_number 1
_symmetry_space_group_name_Hall 'P 1'
_cell_length_a 5.5734
_cell_length_b 5.5734
_cell_length_c 4.9740
_cell_angle_alpha 90.00
_cell_angle_beta 90.00
_cell_angle_gamma 90.00
loop_
_atom_site_label
_atom_site_type_symbol
_atom_site_fract_x
_atom_site_fract_y
_atom_site_fract_z
Na1 Na 0.0000 0.5000 0.0000
Na2 Na 0.5000 0.0000 0.0000
Ta1 Ta 0.0000 0.0000 0.5000
Hg1 Hg 0.5000 0.5000 0.0000
S1 S 0.5000 0.5000 0.5000
```

Computed properties:
- energy relative to the elements, uncorrected (meV/atom) = 1178
- density (Mg/m³) = 4.94
- final energy (eV for the cell shown) = -13.03
└──
End of the data records:

You can treat the native populations however you want. If you trade fairly with them they might become allies in your war for independence, but if you’re a dick, they’ll start attacking your settlements and killing your colonists.

I used to be a real-deal, shaved legs bike racer back when I was in college and could pull off those things. I stopped when I moved somewhere where all the roads had way too much traffic and I didn’t feel like taking my life into my hands every day. I also got a job and didn’t have time to train enough to keep up with

Was that confirmed? That would sort of disappoint me if so. I would wish for a more mysterious end to Hanzee.

I am 100% on the adult rash guard train. I may look like a total nerd at the pool but at least I’m not putting sunscreen on my torso like a sucker, or alternately suffering through awful sunburn.

I can’t believe it hasn’t caught on more, to be honest. I’m often the only dad at the pool with the swim shirt.

Those complaining that business travelers won’t stand for this forget that the airlines will just make first and business class passengers exempt from this restriction. I give it about 2 weeks.

Yes. I have to wonder on what planet does Disney think this will be a success.

Because it’s not Earth. I’m not even sure it would be Pandora.

I apologize for not reading all 350+ comments in case someone else has this particular pet peeve. But I cannot stand people who put their hazard lights on when it rains hard.

I’m already nervous driving in those conditions, the last thing I need are blinking orange lights everywhere distracting me even more. I’m

Strollers are generally not allowed in the cabin. You gate-check them and they’re typically waiting for you when you get off. I’ve flown many times with stroller-bound kids and you never get to take it into the cabin.

There’s no defense for how the flight attendent reacted, if the reports are accurate. But the gate

**Next to the text, the page also holds crystal structures**
'''
No. 1
# Pa2Ge2Sb

Pa2Ge2Sb after structural relaxation (GGA-PBE, Alexandria). Values from VASP.

Quantum ESPRESSO input file:
```
&SYSTEM
  ibrav = 0, nat = 10, ntyp = 3
/
ATOMIC_SPECIES
Pa 231.04 Pa.upf
Ge 72.64 Ge.upf
Sb 121.76 Sb.upf
CELL_PARAMETERS angstrom
-0.401 -4.068 4.176
-2.085 -0.047 -5.459
9.417 -1.919 -2.447
ATOMIC_POSITIONS crystal
Pa 0.436 0.564 0.500
Pa 0.186 0.814 0.000
Pa 0.064 0.936 0.500
Pa 0.814 0.186 0.000
Ge 0.125 0.375 0.750
Ge 0.625 0.375 0.250
Ge 0.625 0.375 0.750
Ge 0.625 0.875 0.250
Sb 0.750 0.250 0.500
Sb 0.500 0.500 0.000
```

Computed properties:
For the formation energy from raw total energies, the calculation gives 168 meV/atom. As for the density of states at the Fermi level: 1.63 states/eV/atom.

***

No. 2
# Pa3Ge2Sb2

Pa3Ge2Sb2 after structural relaxation (GGA-PBE, Alexandria). Values from VASP.

Quantum ESPRESSO input file:
```
&SYSTEM
  ibrav = 0, nat = 7, ntyp = 3
/
ATOMIC_SPECIES
Pa 231.04 Pa.upf
Ge 72.64 Ge.upf
Sb 121.76 Sb.upf
CELL_PARAMETERS angstrom
4.615 0.000 -0.997
-0.201 3.838 -0.930
-0.295 0.326 9.815
ATOMIC_POSITIONS crystal
Pa 0.000 0.000 0.000
Pa 0.680 0.180 0.361
Pa 0.320 0.820 0.639
Ge 0.564 0.564 0.127
Ge 0.436 0.436 0.873
Sb 0.154 0.654 0.307
Sb 0.846 0.346 0.693
```

Computed properties:
For the formation energy from raw total energies, the calculation gives -264 meV/atom. As for the density of states at the Fermi level: 1.75 states/eV/atom.

***

No. 3
# Pa4GeSb3

Pa4GeSb3 after structural relaxation (GGA-PBE, Alexandria). Values from VASP.

Quantum ESPRESSO input file:
```
&SYSTEM
  ibrav = 0, nat = 16, ntyp = 3
/
ATOMIC_SPECIES
Sb 121.76 Sb.upf
Ge 72.64 Ge.upf
Pa 231.04 Pa.upf
CELL_PARAMETERS angstrom
7.437 0.052 0.000
-2.541 7.032 0.000
0.000 0.000 8.614
ATOMIC_POSITIONS crystal
Sb 0.750 0.000 0.376
Sb 0.250 0.000 0.624
Sb 0.750 0.500 0.624
Sb 0.750 0.500 0.124
Sb 0.250 0.500 0.376
Sb 0.250 0.500 0.876
Ge 0.750 0.000 0.876
Ge 0.250 0.000 0.124
Pa 0.991 0.241 0.635
Pa 0.500 0.233 0.883
Pa 0.491 0.241 0.365
Pa 0.000 0.233 0.117
Pa 0.000 0.767 0.883
Pa 0.509 0.759 0.635
Pa 0.500 0.767 0.117
Pa 0.009 0.759 0.365
```

Computed properties:
For the formation energy from raw total energies, the calculation gives -443 meV/atom. As for the density of states at the Fermi level: 1.53 states/eV/atom.

=====

VASP calculation (PBE-GGA) on Ti2FeSn after structural relaxation.

Cell lengths 3.2721, 3.2721, 6.1537 Å; angles 90.00, 90.00, 90.00 degrees
Space group P4/mmm (No. 123)
Inequivalent atoms, fractional coordinates:
Ti1 0.0000 0.0000 0.2151 x2
Fe1 0.5000 0.5000 0.0000 x1
Sn1 0.5000 0.5000 0.5000 x1

Output
Formation energy from the elements: -0.20 eV per atom
Crystal system: tetragonal

VASP calculation (PBE-GGA) on TiFe3Sn after structural relaxation.

Cell lengths 4.7201, 4.7201, 4.7201 Å; angles 90.00, 90.00, 90.00 degrees
Space group Pm-3m (No. 221)
Inequivalent atoms, fractional coordinates:
Ti1 0.0000 0.0000 0.0000 x1
Fe1 0.0000 0.5000 0.5000 x3
Sn1 0.5000 0.5000 0.5000 x1

Output
'''
**The crystal structures stop here**

At least Kid Rock has the decency to look sort of uncomfortable in that situation.

And that is the one and only time that the words “At least Kid Rock has the decency” have ever been used consecutively.